
25th High School Reunion- Old? NO. Accomplished? YES.

Believe it or not my 25th high school reunion is days away. 
I feel like my 20th was a minute ago! (Here I am with the gals pregnant as hell!) I also feel like how in the world am I old enough to be out of high school 25 years! 
I  am old (I told myself). Then....I started thinking about what I have been up to for the past 25 years.

Here's just some of it:

Graduating high school
Going to college
Falling in love with Florida
Falling in love with a bad boy
Learning that bad boys who are aloof, suck
Joining a sorority
Making amazing girl friends who are like family
Learning about myself
Going to Europe
Figuring out my career path
Moving to NYC
Doing improv
Doing stand up
Doing jobs to help keep up my art (coat checking, bar tending, waitressing)
Booking my first commercial
Having my appendics out
Acting in my first big movie
Acting in my first off Broadway show
Moving to CA without knowing anyone
Getting a job as apartment manager of a 100 unit bldg
Selling my first screen play
Doing a movie with Kevin Costner
Buying myself a car
Friendship shifts, changes and losses
Meeting the one
Learning how to let someone in
Getting two cats
Getting married
Honeymooning in Greece
Getting a dog
Buying my first house
Going on safari in Africa
Going to Dominican Republic
Having fertility issues
Doing in vitro
Getting a new car
Getting pregnant
Dealing with a special needs child
Starting a blog
Loving motherhood
Starting play groups
Helping Landon through surgeries
Getting pregnant again
Giving myself injections
Having a tummy tuck
Doing a one woman show
Starting a social media company
Turning 40Taking in a partner
Doubling my business
Taking on new partners
Tripling my business
Learning to juggle work and mommy hood
Learning I didn't like it
Being brave enough to walk away

To be honest I am starting to feel not OLD but ACCOMPLISHED. Have you ever listed it out like this? I think it really shows you all you have done! Have you been to your high school reunion yet? Are you nervous? Excited? Or feeling ACCOMPLISHED??!!


Top Five Easy Halloween Party Recipes

I have a Halloween Trick or Treat party every year and am ALWAYS on the hunt for new and EASY fabulous recipes! Here are my top five that I am loving right now!

1) Witches Fingers (From Eat Yourself Skinny)

2) Pizza Mummies from Spoonful

3) Ghost Bananas and mini pumpkins

4)  Candy Corn Pretzel Fudge by Illuna

5) Eye-Scream by sunlit Spaces

 On a plate, place two round scoops of vanilla ice cream. Make a couple streaks on the scoops with strawberry syrup. Place a blue, brown, or green M&M on the center of the scoop, and add a dot of black decorating gel in the middle of the M&M.

What are your favorite Halloween recipes?


Friday Five!

Getting the hang of this now!

Here are my favorite five things right now:

1) Polka Dots and Moonbeams had a grand RE-Opening Last Night! I am telling you no matter your size these ladies can make people look good! Here's proof!!!

2) I just ordered this Pottery Barn Kids "Catalina" bed as a surprise for Landon. He's having surgery on Dec 4 and I wanted him to have a big boy bed to show how brave he is. It's ON SALE!

I can't wait to get it all assembled!

3)  Love stores like Blue Bird in LA where they sell gently used clothes and toys for kids. Scored a few winter coats for NOTHING and they are gorgeous. Do you have these types of upscale resale shops where you are?

4. I am thinking of a rug like this and a look like this for our living room. This is Jonathan Adler. I think it's chic and modern and I kids of love a little humor too! My friend Carrie who writes Pearl and Pierce Home decorates like this and I need her to come over ASAP!

5)  I am obsessed with the Hamilton Beach Iced Tea Maker. Had to order another one however, because that guy cannot go in the dish washer.

Since I do not drink coffee, and I am constantly tired (hello, I'm a MOTHER), this gets me through the day.

Want to join the Friday five?

All you have to do is LINK UP! Post your Five things you like and then post the blog links to one or all of our hosts (Carolina Charm, A. Liz Adventures, The Good Life Blog and Hello! Happiness). Then post your button:

.....and go to one of their sites to share the link to your post. 
Come join us!


What's Your Favorite Blog?

Aren't you always curious to know what other people are reading? Liking? I guess that's why Facebook and Instagram exist. So we can like and find out what everyone's doing!

I am a long time blogger and I have many favorites. I like to read: "Between Naps On The Front Porch" for her decor and table scapes, Prince Snow Farm, for her gardening adventures, A Time For Everything for her journey to her daughter, and Three Peanuts, The Perks, September Acres, and Pink in a Sea of Blue,  just seem like great friends with great things to say! (I have more but this is a short list!)

I have a new blog I'm reading however, that is controversial, deep, thought provoking and well GOOD.


She just wrote a post called: The Path.

One of the things she mentions is that you will NEVER find the perfect life balance. She likens it to finding a unicorn! Instead lean on people, keep going and you will make it. Just stay on the path.

As a person who is ALWAYS struggling with this I can say this was a comfort for me. I am an insanely high energy person but even I feel wiped out from trying to keep all the engines running. This blog is great for helping you put it all in perspective. I am really glad I found it!

Okay I want to know your favorite blog. It can be about anything, just something you love to read. Come on and share! I want your blog to be my new favorite too!

You will never find your perfect life “balance” on the path for the same reason you will never find a unicorn on the path – because these things don’t exist. Forget unicorns and balance. If you were perfectly balanced- you’d never have to take any ones hand to steady yourself, and that would be a tragedy. There is no solid ground on the path – so don’t hold your breath till you find it. Breathe deeply and keep moving forward awkwardly. You can make it down the whole path imbalanced and flailing. When you fall, give thanks for the opportunity to rest. While you’re down, send love to every other path walker who’s down with you at that moment. Then get back up. Or crawl. Crawling is encouraged and respected. Path running is fine, but crawling is much better. Crawlers travel with their eyes close to the ground – so they never miss an inch of the beautiful, rocky path. Crawlers get less glory but learn the most about the path’s terrain. - See more at: http://momastery.com/blog/2013/10/10/5-things-know-path/#sthash.Pg01L9Hw.dpuf

You will never find your perfect life “balance” on the path for the same reason you will never find a unicorn on the path – because these things don’t exist. Forget unicorns and balance. If you were perfectly balanced- you’d never have to take any ones hand to steady yourself, and that would be a tragedy. There is no solid ground on the path – so don’t hold your breath till you find it. Breathe deeply and keep moving forward awkwardly. You can make it down the whole path imbalanced and flailing. When you fall, give thanks for the opportunity to rest. While you’re down, send love to every other path walker who’s down with you at that moment. Then get back up. Or crawl. Crawling is encouraged and respected. Path running is fine, but crawling is much better. Crawlers travel with their eyes close to the ground – so they never miss an inch of the beautiful, rocky path. Crawlers get less glory but learn the most about the path’s terrain. - See more at: http://momastery.com/blog/2013/10/10/5-things-know-path/#sthash.Pg01L9Hw.dpuf

You will never find your perfect life “balance” on the path for the same reason you will never find a unicorn on the path – because these things don’t exist. Forget unicorns and balance. If you were perfectly balanced- you’d never have to take any ones hand to steady yourself, and that would be a tragedy. There is no solid ground on the path – so don’t hold your breath till you find it. Breathe deeply and keep moving forward awkwardly. You can make it down the whole path imbalanced and flailing. When you fall, give thanks for the opportunity to rest. While you’re down, send love to every other path walker who’s down with you at that moment. Then get back up. Or crawl. Crawling is encouraged and respected. Path running is fine, but crawling is much better. Crawlers travel with their eyes close to the ground – so they never miss an inch of the beautiful, rocky path. Crawlers get less glory but learn the most about the path’s terrain. - See more at: http://momastery.com/blog/2013/10/10/5-things-know-path/#sthash.Pg01L9Hw.dpuf


Five on Friday

This is my first time participating with a Link UP! Welcome to Five On Friday!

Brought to you by these fabulous bloggers: The Good Life Blog, A. Liz Adventures, Hello Happiness, and Carolina Charm. I follow these and all the blogs I love on Blog Lovin.

(Records of molecules, as found in the file)
/*
DFT (the ωB97M-V functional and the def2-TZVPD basis) results for 2 unconnected molecules or ions with the total composition C2H3Cl2NOSi in a non-equilibrium geometry.

Each line ends with the Löwdin charge.
Geometry (Å):
1 C 1.42789 -1.22882 1.32359  -0.42
2 C -1.18507 0.21702 -2.04940  -0.29
3 N 0.95870 -1.04179 2.41463  0.18
4 O 1.80040 -1.59190 0.28758  0.16
5 Si -0.88428 1.16198 -0.63301  -0.17
6 Cl 0.16502 2.87734 -0.72899  0.30
7 Cl -1.72531 0.97345 1.27804  0.23
8 H 1.50880 -0.95078 3.21996  0.07
9 H -1.50704 -0.82446 -2.19764  -0.02
10 H -0.55910 0.40795 -2.91475  -0.04

For the strongest force on any atom, the calculation gives 1.52 eV Å⁻¹. Its energy relative to the best compared isomer or geometry (same formula, charge and spin) is 254.1 kJ/mol. Its total charge is 0. As for the total energy: -1417.915452 Ha. For the gap between HOMO and LUMO, the calculation gives 8.698 eV. The SMILES is C=[Si](Cl)Cl.N=C=O. As for the HOMO energy: -8.706 eV.

=====

The following is a DFT calculation (ωB97M-V with the def2-TZVPD basis set) of C31H36MoN2O2P2S5Si as an isolated structure.

Structure (XYZ):
```
80
Properties=species:S:1:pos:R:3:lowdin_charge:R:1
Mo 0.07719 0.44571 0.52555 0.67
C -1.68506 3.66233 0.71771 -0.23
P -0.04424 2.90772 0.84292 0.81
C 0.69488 3.72962 2.27436 -0.24
C 0.83734 3.50922 -0.64281 -0.36
C 0.63313 4.81976 -1.07252 -0.06
C 1.27341 5.30279 -2.20148 -0.03
C 2.11793 4.47612 -2.92964 -0.03
C 2.33062 3.17152 -2.51755 -0.07
C 1.70318 2.67875 -1.37439 -0.38
P 2.09179 1.01104 -0.76494 0.77
C 2.37204 -0.04780 -2.21239 -0.23
C 3.74244 1.14492 -0.03289 -0.24
H -1.60912 4.74894 0.74856 0.06
H -2.28493 3.32584 1.56144 0.04
H -2.16660 3.36356 -0.21280 0.05
H 0.55587 4.80704 2.17830 0.07
H 1.75831 3.50755 2.34372 0.04
H 0.19779 3.37941 3.17958 0.06
H -0.02601 5.47938 -0.52423 0.11
H 1.11363 6.32535 -2.51423 0.12
H 2.61676 4.85135 -3.81246 0.12
H 3.00134 2.54326 -3.08920 0.11
H 3.15141 0.35149 -2.86119 0.06
H 1.45681 -0.17914 -2.78895 0.01
H 2.69966 -1.02503 -1.85245 0.07
H 4.44299 1.48508 -0.79716 0.07
H 4.05862 0.17310 0.34589 0.06
H 3.73399 1.85973 0.78851 0.04
S 1.93516 -3.20894 6.64244 0.70
C 1.60429 -2.45424 5.26456 -1.45
S 2.25121 -0.87056 4.83829 0.94
C 1.37236 -0.70380 3.34602 -1.06
C 0.51501 -1.71337 3.01495 -1.09
S -0.43268 -1.54485 1.61296 0.71
S 0.39803 -3.04133 4.11306 0.95
S 1.53181 0.60121 2.26877 0.66
C -1.24818 1.26729 -3.78335 -0.13
Si -1.76576 -0.47300 -3.39884 0.52
C -0.61734 -1.79495 -3.99063 -0.14
C -3.55937 -0.74787 -3.78335 -0.14
H -1.37826 1.45989 -4.85051 0.06
H -0.20625 1.48258 -3.53939 0.02
H -1.87982 1.98296 -3.24979 0.05
H -0.17478 -1.53366 -4.95258 0.06
H -1.14046 -2.74417 -4.11261 0.05
H 0.19792 -1.95980 -3.28360 0.03
H -3.69886 -0.52933 -4.84626 0.06
H -4.22835 -0.07386 -3.24514 0.04
H -3.88097 -1.78027 -3.63528 0.05
O -1.58916 -0.56149 -1.62986 -0.08
C -2.46605 -0.28613 -0.70320 -0.50
N -3.68322 -0.75754 -0.58757 0.23
C -4.30864 -0.25752 0.65565 -0.23
C -3.14465 0.61949 1.18856 -0.42
*/
(Back to the page)

Let's get started!

1) I am loving trying new breakfast ideas on the weekends. Here's why! Last weekend my husband made this:

Chorizo omelette! Chorizo, and Mexi cheese topped with avocado, cilantro and tomatoes. Yes I have married WELL.

2) Got this little project done! Coco's new dress up area! I'm going to do a video tutorial on it!!

3) I am so hair challenged. Thank God the DRY BAR can make me look like this!!!! This was at the Young Life Fundraiser.

4) I am becoming obsessed with Retro Wifey because she posts things like this:

Didn't you just LOVE Bewitched?? You must like her page on FB!

And Last:

5) These Target Jeans are amazing. Made well, look great and are CHEAP!!! Get em!



Weight Lifting Mom Controversy: That's Heavy!

I know pregnant women are supposed to stay in shape and all but I have to admit this made me choke on my latte.

It's visually stunning isn't it?

I can assure you NOTHING like this was going on in my pregnancies with Landon and Coco. The only weight lifting I was doing was lifting the huge forkful of  fettuccine Alfredo into my mouth! Only because we're friends I will show you!

Uh huh. It doesn't help that the friend next to me looks like an Olympian. I digress.

I can understand the shock people have seeing this but there's one thing I know. She did not START weight lifting when she got pregnant. Clearly this woman has been doing this for a while. I'm sure her doctor is on board with it and she is being careful.

That being said you do HAVE to be careful when you're pregnant. The older I get the more horrifying stories I hear of people losing their babies. This would be way too extreme for me. Even if I did lift weights before I think I would stop.

Now that I think about it this woman pisses me off. She's pregnant and in better shape than me! UGH!!!!!

What do you think of this picture?



Halloween Decorating- Some Faves From Pinterest!

I have some pumpkins around for now but this weekend I am busting out the SIX bins of decorations and fun times to put out!

Coco cannot wait for this guy to come out:

She's got a love hate thing with it that is HILARIOUS.

Here's a few home decorating ideas for Halloween from Pinterest.


Love this door decor. It's like Christmas for Halloween!

This mantle is so cute:

Love the branches! This is very spooky spidery!

And I love this web on the porch, better than the ones I usually see!

Have you pulled out your Halloween decor yet?